Mountain Views News Saturday, November 3, 2012
I can’t think of a single friend or neighbor of mine here in Sierra
Madre who doesn’t look forward to spending time trekking
the trails, and checking out the birds and other local wildlife
while exploring the forest as a means of relaxation during their
evening and weekend time off. It seems for we foothill dwellers,
there is no better way to find quiet time away from the hustle
and bustle of city life than to head to the hills where the serenity
of nature can bring healing to our hard-working hearts. Even
people I know who are not what you’d call nature freaks admit
they would rather be surrounded by the calm vibrations of the
wilderness so readily accessible to us, than in any other place in
LA, including the beaches. It pleases me to know that so many
people appreciate nature and wildlife, but the people who invest
their ‘time off’ actually doing what needs to be done to preserve
those natural areas we all so enjoy, are the ones who impress me
the most.
The Arroyos & Foothills Conservancy is a fabulous network of
nature-loving citizens, dedicated to preserving the wild habitats
that some of us tend to take for granted, or are even completely
unaware of. The group was born out of the need to prevent the
development of foothill and arroyo natural areas that would
otherwise become part of what I call the “progressive pavement
process“. The La Vina estate development at the top of Lincoln
Ave. in north Pasadena was in part what prompted the Arroyos
& Foothills Conservancy to life. Unfortunately in spite of much
effort and intervention, that project did move forward and we
now see the results of what happens when an enormous natural
land mass with a healthy vital ecosystem is suddenly replaced
with human dwellings. I guess it’s a matter of perspective and
those immediately affected were unable to voice their opinion
in a language humans understand, because they are animals
and plants, however time tells the true story and in the long run
humans are also very much affected by the loss of wilderness
land space.
The Pasadena Audubon Society is a great group of people who
love the outdoors and not only enjoy, but thrive on observing
wildlife in it’s indigenous environment. Aside from their drive
to learn and share their knowledge about nature and it‘s habitat,
they are also self-appointed advocates of preservation for local
natural areas, so it came as no surprise that they teamed up
with Arroyos & Foothills Conservancy to help raise funds to
save 13 acres of threatened land in Altadena’s Millard Canyon.
The appropriately potentially protected property was relatively
recently purchased by an individual with the intention of
building private residential homes to market for sale but as it
turned out the buyer decided that it made more sense to sell
the property to the Conservancy, if they indeed could afford to
purchase it.
As a major part of the effort to procure and preserve the 13
acres of natural wilderness in Millard Canyon, Mickey Long, a
local resident and retired biologist/botanist who probably knows
more about LA’s natural areas than most, offered to orchestrate
a 12-week research study of bird species in the Millard Canyon
this past Spring. Remarkably, 16 of the most knowledgeable
local birders also volunteered to join in on the study, and the
results were quite astonishing. The research team was successful
in documenting 73 species of birds that either dwell and nest in,
or annually frequent the area all of which strongly depend on
the natural resources of the creek bed and the foliage it sustains.
The results of the study ended up being extremely instrumental
in gaining a government grant to help meet the $675,000 goal
necessary to purchase and preserve the property, however a huge
gap still remains to meet the goal even with the government
funds that were granted.
There are numerous reasons why Millard Canyon should be left
alone and allowed to remain as it is, versus being invaded and
developed for human residential consumption, but among the
most delicate issues is the fact that it is a common connection
between the hillside wilderness and the urban lowland sprawl
where most of us live. Whether we are aware or not, there are
very good reasons for nature to be allowed to thrive and survive
as it typically does absent of human intervention. Secondly,
Millard Canyon facilitates a major creek bed for the water
that runs off the hills and down through the arroyo, which is
essential to feeding the fauna that grows there, which in turn
feeds the amphibians and other small species of wildlife, which
ultimately feed the larger species of wildlife, all of which play a
major part in the process of nature simply taking it’s course and
ultimately keeping we humans healthy and happy. Without the
natural resources that are provided by that particular area, the
indigenous wildlife population would be expected to eventually
migrate to a lesser appropriate location, such a into the urban
areas, or potentially die out.
The latest and greatest of good news about Millard Canyon
came today, November 1 from John Howell Executive Director
of the Arroyos & Foothills Conservancy, who was very happy to
report that the financial deficit for saving those 13 acres from
potential destruction and urban development had dropped from
$40,000 down to $27, 350 since mid October, which presents a
promising hope for finally bridging the gap to save that area for
the sake of the wildlife and ourselves.
The Arroyos & Foothills Conservancy will meet
their deadline for purchasing the 13 threatened
acres in Millard Canyon on November 15, 2012.
Hopefully by then they will find themselves in
the position to celebrate and announce that
those gorgeous acres of natural space indeed
escaped the rape of the “progressive pavement
process” and will be allowed to remain as they
are; an healthy ecosystem where nature can to
take it‘s course.
If you would like to take part in saving the 13
threatened acres of natural space in Millard
Canyon, spread the word with others in your
community and visit the Arroyos & Foothills
Conservancy website at: arroyosfoothills.org to
make a tax deductible donation. In my opinion,
there is no better way to invest one’s energy than
to protect the environment that sustains them.
Happy Tails
by Chris Leclerc
Lending a Paw Therapy Dogs is sponsoring a Pet Food Drive to
support Foothill Unity Center’s Pet Food Bank as part of a pet
wedding celebration.
On Sunday, November 18 at 10:00
Arcadia Congregational United Church of Christ
2607 S. Santa Anita in Arcadia
Therapy Dogs Ms.Margaret Rose Cortland and
Mr. Sundance Kid Melle
Will celebrate their wedding vows to be officiated by
Rev. Dr. Jolene Cadenbach
Because the happy couple is aware of how the poor economy has
affected many pet owners’ ability to keep their pets, they are requesting
donations of dog and cat brand name dry food for the
Foothill Unity Center in lieu of wedding gifts; www.foothillunitycenter.
org. Donations by check (made out to the Foothill Unity
Center) or cash also will be accepted. There will be a donation
collection point at the wedding reception, or
contact Lending a Paw Therapy Dogs at 626-357-3575 to arrange
a pickup.
Foothill Unity Center serves the Foothill communities of the San
Gabriel Valley and is headquartered in Monrovia. The Pet Food
Bank helps people that would otherwise have to give up their pets
because they do not have the money to feed them. In the first
eight months of 2012, the Center has provided 671 unduplicated
families with pet food. Lending a Paw Therapy Dogs has established
a goal of at least 2000 pounds of pet food to be collected in
order to sustain this program through the Holidays.
In addition, Maggie and Sundance would be honored to have
you and your significant dog* attend the festivities. The reception
will be on the church grounds immediately following the
ceremony. The blessing of the animals will take place during the
reception. (*It is extremely important that your pet is on a leash,
friendly and have “church manners.” Clean up bags will be supplied
Next to the page, the page also holds crystal structures >
A plane-wave DFT calculation with PBE+U was carried out for LiY5Mo2O12 after structural relaxation.

formation energy: -3.213 eV per atom
SG: P1
magnetic moment: 4.001 μB/cell
final energy: -8.2457 eV/atom

Geometry as POSCAR:
```
LiY5Mo2O12
1.0
-0.5083 -4.7111 -3.6858
4.6999 -0.6600 5.0846
-6.4875 -1.7440 3.1280
O Y Mo Li
12 5 2 1
direct
0.5008 0.0021 0.7978 O
0.0047 0.0094 0.2034 O
0.0593 0.6643 0.9107 O
0.5931 0.6905 0.4248 O
0.0034 0.0074 0.8107 O
0.6043 0.6643 0.9107 O
0.4114 0.3105 0.5813 O
0.0978 0.6909 0.4249 O
0.4957 0.9916 0.1843 O
0.4170 0.3374 0.0740 O
0.9204 0.3376 0.0743 O
0.8998 0.3107 0.5804 O
0.8068 0.6135 0.6360 Y
0.1966 0.3944 0.8312 Y
0.4964 0.9924 0.4922 Y
0.8204 0.6406 0.1876 Y
0.1964 0.3930 0.3605 Y
0.7454 0.9985 0.9996 Mo
0.2528 0.9985 0.9996 Mo
0.6544 0.3135 0.8642 Li
```

=====

A plane-wave DFT calculation with PBE+U was carried out for CdFeO3 after structural relaxation.

formation energy: -1.323 eV per atom
SG: P2_1/m
magnetic moment: 15.999 μB/cell
final energy: -5.3074 eV/atom

Geometry as POSCAR:
```
CdFeO3
1.0
5.3630 -0.0025 -0.0007
-0.0025 5.4502 -0.0001
-0.0010 -0.0002 7.6697
Fe O Cd
4 12 4
direct
0.5000 0.0000 0.0000 Fe
0.0000 0.5000 0.5000 Fe
0.5000 0.0000 0.5000 Fe
0.0000 0.5000 0.0000 Fe
0.9080 0.5315 0.7500 O
0.7027 0.2955 0.4518 O
0.2006 0.2067 0.9518 O
0.5908 0.0312 0.7500 O
0.7994 0.7933 0.0482 O
0.0920 0.4685 0.2500 O
0.7023 0.2952 0.0482 O
0.4092 0.9688 0.2500 O
0.7998 0.7930 0.4518 O
0.2002 0.2070 0.5482 O
0.2973 0.7045 0.5482 O
0.2977 0.7048 0.9518 O
0.0093 0.9577 0.7500 Cd
0.9907 0.0423 0.2500 Cd
0.5094 0.5424 0.2500 Cd
0.4906 0.4576 0.7500 Cd
```

=====

A plane-wave DFT calculation with PBE+U was carried out for MgWF4 after structural relaxation.

formation energy: -2.621 eV per atom
SG: Ibam
magnetic moment: 8.000 μB/cell
final energy: -5.2765 eV/atom

Geometry as POSCAR:
```
MgWF4
1.0
-3.7069 4.5685 3.4323
0.8302 6.1642 -2.7760
-1.9496 -6.1633 -2.1461
F Mg W
8 2 2
direct
0.9944 0.6156 0.8936 F
0.5056 0.3992 0.6212 F
0.2780 0.8992 0.8936 F
0.7780 0.8844 0.3788 F
0.0056 0.3844 0.1064 F
0.2220 0.1156 0.6212 F
0.7220 0.1008 0.1064 F
0.4944 0.6008 0.3788 F
0.2500 0.7500 0.5000 Mg
0.7500 0.2500 0.5000 Mg
0.5000 0.5000 0.0000 W
0.0000 0.0000 0.0000 W
```

=====

A plane-wave DFT calculation with PBE+U was carried out for Ta2Zn2CoO8 after structural relaxation.

formation energy: -2.544 eV per atom
SG: P1
magnetic moment: 0.000 μB/cell
final energy: -7.6051 eV/atom

Geometry as POSCAR:
```
Ta2Zn2CoO8
1.0
6.5003 1.6246 -4.2834
-2.5341 9.0405 3.7291
5.2799 -2.6370 5.3141
O Ta Co Zn
32 8 4 8
direct
0.9224 0.1152 0.5088 O
0.3429 0.3858 0.2003 O
0.5765 0.6454 0.1437 O
0.0570 0.1375 0.1267 O
0.1574 0.6129 0.2980 O
0.2965 0.1166 0.3836 O
0.0765 0.6454 0.6439 O
0.1916 0.1370 0.7606 O
0.4240 0.3533 0.8543 O
0.0780 0.8833 0.4886 O
0.6576 0.6134 0.7979 O
0.5568 0.1367 0.6256 O
0.7418 0.3855 0.0994 O
0.8426 0.3855 0.7004 O
0.7975 0.1151 0.8836 O
0.8088 0.8618 0.2379 O
0.4429 0.8614 0.3707 O
0.2585 0.6134 0.8988 O
if needed.)
Please RSVP to either twokuute@gmail.com or Immelle@aol.
Our grateful thanks to this event’s generous supporters including:
wonder Dog Ranch, Karren’s Kritters (Pet Rescue), Voice Communications,
Cactus Communications, Happy Paws Dog
Grooming, and Monrovia Floral.
Meet the amazing and adorable Pumpkin (A4496749)! Pumpkin is a phenomenal one year
old brindle male Mastiff/Pit Bull mix puppy, found in La Puente and brought to the Baldwin
Park Animal Care Center on October 8th. Weighing sixty-eight pounds, Pumpkin walks
beautifully on the leash, sits on command and is undoubtedly housebroken. He seems to
like other dogs, and we think he is the perfect playmate for children. Gentle and very treat-
motivated, he is a staff favorite who scored an “A” on his temperament test. Pumpkin will be
an amazing indoor pet for an active individual or family living in a private home. To watch
a video of Pumpkin please visit this link: www.youtube.com/watch?v=rd6GYu1WxdM
To meet Pumpkin in person, please see him at the Baldwin Park lter, located at 4275 N.
Elton St., Baldwin Park, CA 91706 (Phone: 626-430-2378 or 626-962-3577). He is currently
available now. For any inquiries about Pumpkin, please reference his animal ID number:
A4496749. The shelter is open seven days a week, 12 pm-7 pm Monday-Thursday and
10am-5pm Friday-Sunday. This is a high-intake shelter with a great need for adoptions.
For more information about Pumpkin or the adoption process, please contact United Hope
for Animals Volunteer Adoption Coordinator Samantha at samanthasayon@gmail.com
or 661-309-2674. To learn more about United Hope for Animals’ partnership with the
Baldwin Park Shelter through its Shelter Support Program, as well as the many dogs of all breeds, ages, and sizes available for adoption in local
shelters, visit http://www.unitedhope4animals.org/about-us/shelter-support-program/.